_Given_
********
Run 1
A cluster of 2 separate species, C3H6O in total, computed with ωB97M-V/def2-TZVPD.

Summary:
Orbital gap in eV: 10.60

The geometry in ORCA input format:
```
! RIJCOSX wB97M-V def2-TZVPD def2/J DEFGRID3
* xyz 0 1
C -0.5531 -0.8001 -0.4247
O 2.0386 -0.0574 0.7166
C -1.3215 -0.0417 0.2672
C -0.8575 0.9647 -0.6594
H -0.7280 -1.8407 -0.6698
H 1.1742 -0.3917 0.4142
H 2.3854 -0.8045 1.2147
H -1.9673 -0.0840 1.1375
H -1.4623 1.2460 -1.5179
H 0.1848 1.2082 -0.7458
*
```

Run 2
An isolated molecule of C3H6O, computed with ωB97M-V/def2-TZVPD.

Summary:
Orbital gap in eV: 10.82

The geometry in ORCA input format:
```
! RIJCOSX wB97M-V def2-TZVPD def2/J DEFGRID3
* xyz 0 1
O 0.2133 -1.6669 -0.8969
C -0.3744 -0.7076 -0.4191
C 0.1240 0.2326 0.7180
C 0.0531 1.7510 0.5157
H -1.1819 -0.3201 -1.1124
H -0.5502 -0.1246 1.5544
H 1.1971 -0.2412 0.8814
H 0.9405 2.0684 -0.1557
H -0.8388 1.8832 -0.1622
H -0.0893 2.4130 1.2819
*
```

Relative energy table, unit kJ/mol: run 1 280.0; run 2 0.0
********

_Brief_
It remains to say how many lines of the calculation results above hold the word "Relative", as a bare number.

_Solution_
1